All writers have a process that allows them to create. However, the art of "Writing" is often mistaken for that "Process." Hopefully this blog explains the difference, and inspires people to develop their crafts, become writers, or just keep on writing.

Monday, August 26, 2019

Is A Plot Twist Even Necessary?

The other day, I was approached by one of the members of a writing workshop. They had been building out a story, putting all the pieces together, writing out everything, chapter by chapter, but they were now hung up because there was no big plot twist. They really wanted one in the story, but nothing seemed to fit. This was their special version of Writer's Block, and they wanted to know what to do.

I kept my response simple. "I understand that you want one, but do you really need one?"

Everyone likes a well-written plot twist, but they are actually rare creatures. I know many people who have lived very interesting lives worthy of filling several books, yet none of those stories really have a dramatic plot twist. A recent biography I read about President Abraham Lincoln had - not surprisingly - no big plot twists, yet it was an excellent read.

Part of good writing is allowing it to carry its own weight. When a story is written in an engaging manner, it only requires a few structure elements: All information provided serves a purpose in developing the narrative, the reader understands the protagonist's journey, and the character's growth between the first and last pages is clearly demonstrated. At that point, any other added feature is just a bonus.

Let's go back to Lincoln. His story is widely told, and even though the legends and fables are far more popular than the actual facts, his story is a simple one. A rural upbringing with hardship and tragedy, mixed success with business and relationships, love and loss, each success mired with complications, leading to the final steps of reforming the Union; a goal he never truly witnessed. Where's the big twist? Where do we find out that John Wilkes Booth was actually a friend of someone defeated back in court during his prairie lawyer years? What's the big reveal?

There isn't one. It's an engaging story where we see a character live, grow, and take on life's many challenges, each while holding to a constant, though evolving, ideal of what the United States of America truly stood for. Each challenge comes back to the character's core, and we understand Lincoln that much more. Even as we get to the last few pages of his life (no spoilers here), we feel a full and complete sense of what remained unfinished, what needed to be carried forward, and the sorrow of a dream unrealized.

It's just a good story.

The question we need to ask ourselves as writers is whether or not the big twist adds anything to the story. A good twist is always interesting, but if it takes the reader away from the broader premise, it's distracting. Nothing is worse than a big change that feels artificial. If a twist is placed in the narrative, it should change the development of all characters involved, and be felt for many chapters after it's happened. If it doesn't have that kind of staying power, maybe it's not necessary.

The writer in my workshop opted to leave out a twist for twist's sake, and finished writing their wonderful novel. That novel was later published, and now everyone has heard of it - Angela's Ashes.

Now that would be a twist (though it never happened).

(The page is interrupted by molecular data)
<<<
{
  "formula": "C2H5O",
  "method": "wB97M-V/def2-TZVPD",
  "symbols": ["C", "C", "O", "H", "H", "H", "H", "H"],
  "coordinates": [[0.152204, 0.663397, -0.546422], [-0.104712, -0.583998, 0.425854], [0.326389, -1.828509, 0.030397], [-0.375757, 1.389561, 0.026268], [-0.204887, 0.479308, -1.555536], [1.232935, 0.753915, -0.451546], [0.230767, -0.120832, 1.429784], [-1.256940, -0.752844, 0.641200]],
  "atomic_forces_ev_per_a": [[0.08, -2.45, 1.43], [-1.60, -1.88, -0.31], [0.50, 1.87, 0.54], [-0.35, 1.41, -0.17], [0.02, 0.16, -0.07], [0.07, 0.48, -0.52], [0.30, -0.73, -0.48], [0.98, 1.13, -0.42]],
  "multiplicity": 1,
  "smiles": "CC[O-]",
  "energy_ha": -154.3947,
  "largest_force_ev_per_a": 2.83,
  "homo_ev": -1.858,
  "e_lumo_ha": 0.18753,
  "total_charge": -1,
  "gap_ev": 6.96
}


{
  "formula": "C17H24N4O4S2",
  "method": "wB97M-V/def2-TZVPD",
  "symbols": ["C", "N", "C", "C", "N", "C", "S", "N", "C", "O", "C", "C", "C", "C", "S", "O", "O", "N", "C", "C", "O", "C", "C", "C", "C", "C", "C", "H", "H", "H", "H", "H", "H", "H", "H", "H", "H", "H", "H", "H", "H", "H", "H", "H", "H", "H", "H", "H", "H", "H", "H"],
  "coordinates": [[0.181614, 3.507683, -0.594173], [0.929230, 3.180126, 0.605527], [2.138278, 2.437159, 0.306532], [2.952715, 2.257316, 1.584749], [2.167247, 1.538252, 2.564187], [2.719846, 0.582386, 3.323782], [4.333038, 0.240724, 3.345998], [1.881608, -0.159211, 4.165278], [0.786682, -0.925603, 3.846154], [0.172943, -1.518469, 4.702570], [0.418170, -0.977614, 2.400089], [-0.926479, -0.868436, 2.051336], [-1.295196, -0.859545, 0.717834], [-0.318080, -0.990587, -0.251746], [-0.767820, -0.739672, -1.965513], [0.326303, -1.166336, -2.792344], [-1.210217, 0.620412, -2.088494], [-2.112733, -1.728082, -2.086484], [-3.156618, -1.276615, -2.988826], [-2.824685, -1.661631, -4.431869], [-2.604526, -3.050683, -4.541707], [-1.523572, -3.460820, -3.732290], [-1.785162, -3.131075, -2.258719], [1.009355, -1.177585, 0.082684], [1.382067, -1.176507, 1.416145], [0.897655, 2.181485, 2.833485], [0.119080, 2.424789, 1.541070], [-0.671869, 4.123660, -0.315643], [0.822228, 4.083148, -1.259411], [-0.182538, 2.618768, -1.127820], [2.730051, 3.007946, -0.411109], [1.911663, 1.449340, -0.134323], [3.867124, 1.697608, 1.385951], [3.217660, 3.242495, 1.984544], [2.276211, -0.368168, 5.076395], [-1.663661, -0.763421, 2.832717], [-2.321700, -0.733510, 0.413851], [-3.228263, -0.194663, -2.882696], [-4.094312, -1.747630, -2.677522], [-3.655747, -1.430781, -5.100086], [-1.927188, -1.110189, -4.751022], [-1.427196, -4.538051, -3.876465], [-0.600089, -2.957879, -4.050452], [-0.899858, -3.342541, -1.657701], [-2.629638, -3.718561, -1.884504], [1.731982, -1.306322, -0.708172], [2.416484, -1.327891, 1.684057], [0.305318, 1.585297, 3.526557], [1.108781, 3.155670, 3.294329], [-0.773275, 3.008793, 1.777811], [-0.202911, 1.465020, 1.105457]],
>>>


  1. When I write fictional pieces, in particular, my biggest challenge is avoiding anything that appears artificial.

    1. Natural developments are such a difficult part of fiction. Similar to lying, it's an art to making them sound real.
